**Source:**
┌──
1.
99
Properties=species:S:1:pos:R:3 method="wB97M-V/def2-TZVPD" de_lowest_kj_mol=0.0 homo_lumo_gap_ev="5.82 / 6.37" spin_multiplicity=4 e_tot_ev=-71951.15747 total_charge=+1 s2=3.8047 homo_ev="-9.0 / -10.3"
Tc -0.816 1.049 -0.196
C 0.709 1.530 -5.264
C 1.497 0.763 -4.421
C 0.938 0.095 -3.342
C -0.424 0.199 -3.103
C -1.223 0.961 -3.946
C -0.654 1.623 -5.021
N -0.999 -0.406 -1.904
C -2.445 -0.710 -2.008
C -2.895 -1.538 -3.022
C -4.231 -1.907 -3.067
C -5.107 -1.453 -2.084
C -4.667 -0.625 -1.069
C -3.325 -0.243 -1.025
N -2.785 0.610 -0.080
N -3.560 1.174 0.828
C -2.875 2.087 1.557
C -3.533 2.802 2.575
C -2.842 3.744 3.289
C -1.498 3.999 2.983
C -0.909 3.276 1.973
N -1.556 2.321 1.293
H 1.149 2.046 -6.105
H 2.561 0.678 -4.598
H 1.569 -0.496 -2.695
H -2.282 1.052 -3.757
H -1.283 2.219 -5.667
H -2.198 -1.880 -3.778
H -4.587 -2.545 -3.863
H -6.146 -1.746 -2.116
H -5.336 -0.262 -0.303
H -4.573 2.583 2.757
H -3.336 4.299 4.075
H -0.936 4.762 3.499
H 0.115 3.459 1.672
C 4.582 -0.767 -0.036
C 3.395 -1.064 0.611
C 2.275 -0.265 0.421
C 2.356 0.846 -0.403
C 3.538 1.136 -1.082
C 4.645 0.330 -0.891
N 1.170 1.643 -0.590
N 1.365 2.723 -1.235
C 0.187 3.340 -1.610
C 0.244 4.534 -2.338
C -0.928 5.093 -2.788
C -2.150 4.469 -2.512
C -2.209 3.289 -1.790
C -1.031 2.695 -1.332
H 5.451 -1.391 0.109
H 3.337 -1.919 1.272
H 1.341 -0.515 0.914
H 3.574 1.982 -1.752
H 5.563 0.555 -1.416
H 1.206 4.985 -2.537
H -0.909 6.013 -3.355
H -3.067 4.919 -2.868
H -3.170 2.834 -1.585
C 1.793 -1.637 6.535
C 1.951 -1.407 5.044
N 0.708 -0.889 4.470
C 0.583 -0.140 3.360
S -0.745 -0.408 2.333
N 1.494 0.805 3.100
C 2.393 1.468 4.041
C 2.496 2.944 3.700
H 2.716 -2.036 6.953
H 0.998 -2.355 6.739
H 1.551 -0.708 7.049
H 2.204 -2.344 4.537
H 2.764 -0.712 4.848
H -0.090 -1.497 4.604
H 1.336 1.287 2.226
H 3.386 1.011 4.007
H 1.990 1.337 5.047
H 2.827 3.081 2.669
H 3.225 3.429 4.346
H 1.536 3.439 3.830
C 0.650 -3.549 1.023
C -0.287 -3.587 -0.174
C -1.424 -4.557 0.097
O -0.883 -2.264 -0.300
B -0.422 -1.710 -1.445
O 0.470 -2.453 -2.138
C 0.438 -3.793 -1.563
C -0.353 -4.647 -2.543
C 1.870 -4.286 -1.463
H 0.121 -3.082 1.853
H 1.548 -2.968 0.822
H 0.944 -4.558 1.313
H -1.870 -4.315 1.061
H -1.055 -5.582 0.140
H -2.201 -4.491 -0.660
H -1.360 -4.257 -2.686
H -0.425 -5.678 -2.201
H 0.155 -4.637 -3.507
H 2.512 -3.541 -0.998
H 2.256 -4.490 -2.461
H 1.921 -5.207 -0.883

=====

2.
95
Properties=species:S:1:pos:R:3 method="wB97M-V/def2-TZVPD" homo_lumo_gap_ev="4.69 / 6.44" spin_multiplicity=4 e_tot_ev=-256488.58921 total_charge=-2 s2=3.8015 homo_ev="-0.5 / -2.3"
V 0.473 -0.061 0.463
O 3.118 0.952 2.631
S 2.558 -0.275 2.097
O 3.232 -1.480 2.525
O 1.052 -0.344 2.398
O 2.477 -0.186 0.563
C -0.053 1.606 -4.307
C 0.750 1.005 -3.152
Ge -0.201 -0.433 -2.086
C 0.461 -2.008 -3.111
C 0.281 -1.893 -4.627
C -2.103 -0.205 -2.615
C -3.159 -0.440 -1.833
Ge -2.666 -1.024 0.005
C -2.690 0.445 1.338
C -3.933 1.296 1.608
C -3.819 -2.424 0.800
C -5.333 -2.192 0.787
C -4.534 -0.241 -2.329
C -4.896 -0.642 -3.619
C -6.173 -0.423 -4.115
C -7.134 0.204 -3.333
C -6.798 0.598 -2.045
C -5.522 0.368 -1.551
H 0.537 2.345 -4.861
H -0.945 2.116 -3.941
H -0.376 0.840 -5.015
H 1.075 1.794 -2.474
H 1.661 0.522 -3.522
H -0.027 -2.910 -2.748
H 1.522 -2.108 -2.865
H -0.772 -1.754 -4.893
H 0.631 -2.796 -5.140
H 0.835 -1.048 -5.038
H -2.304 0.184 -3.619
H -1.862 1.110 1.077
H -2.377 -0.051 2.263
H -4.251 1.852 0.725
H -3.726 2.034 2.389
H -4.777 0.688 1.943
H -3.456 -2.499 1.829
H -3.585 -3.380 0.333
H -5.604 -1.249 1.265
H -5.858 -2.991 1.321
H -5.725 -2.160 -0.230
H -4.155 -1.145 -4.230
H -6.422 -0.749 -5.118
H -8.131 0.377 -3.720
H -7.535 1.085 -1.417
H -5.275 0.671 -0.543
C 2.063 3.449 -0.180
Ge 0.301 2.581 0.118
C -0.856 3.396 -1.305
C -0.367 4.268 -2.281
C -1.193 4.792 -3.271
C -2.538 4.445 -3.312
C -3.043 3.565 -2.363
C -2.206 3.050 -1.379
C -0.328 3.469 1.831
C -0.294 2.669 2.949
C -0.733 3.119 4.215
C -1.225 4.380 4.372
C -1.257 5.267 3.269
C -1.729 6.597 3.416
C -1.718 7.468 2.366
C -1.224 7.046 1.113
C -0.776 5.767 0.941
└──

**Exercise:**
The reader should start at the top of the material above and print each line, ending with the one that has "-0.945 2.116".

**Worked solution:**
1.
99
Properties=species:S:1:pos:R:3 method="wB97M-V/def2-TZVPD" de_lowest_kj_mol=0.0 homo_lumo_gap_ev="5.82 / 6.37" spin_multiplicity=4 e_tot_ev=-71951.15747 total_charge=+1 s2=3.8047 homo_ev="-9.0 / -10.3"
Tc -0.816 1.049 -0.196
C 0.709 1.530 -5.264
C 1.497 0.763 -4.421
C 0.938 0.095 -3.342
C -0.424 0.199 -3.103
C -1.223 0.961 -3.946
C -0.654 1.623 -5.021
N -0.999 -0.406 -1.904
C -2.445 -0.710 -2.008
C -2.895 -1.538 -3.022
C -4.231 -1.907 -3.067
C -5.107 -1.453 -2.084
C -4.667 -0.625 -1.069
C -3.325 -0.243 -1.025
N -2.785 0.610 -0.080
N -3.560 1.174 0.828
C -2.875 2.087 1.557
C -3.533 2.802 2.575
C -2.842 3.744 3.289
C -1.498 3.999 2.983
C -0.909 3.276 1.973
N -1.556 2.321 1.293
H 1.149 2.046 -6.105
H 2.561 0.678 -4.598
H 1.569 -0.496 -2.695
H -2.282 1.052 -3.757
H -1.283 2.219 -5.667
H -2.198 -1.880 -3.778
H -4.587 -2.545 -3.863
H -6.146 -1.746 -2.116
H -5.336 -0.262 -0.303
H -4.573 2.583 2.757
H -3.336 4.299 4.075
H -0.936 4.762 3.499
H 0.115 3.459 1.672
C 4.582 -0.767 -0.036
C 3.395 -1.064 0.611
C 2.275 -0.265 0.421
C 2.356 0.846 -0.403
C 3.538 1.136 -1.082
C 4.645 0.330 -0.891
N 1.170 1.643 -0.590
N 1.365 2.723 -1.235
C 0.187 3.340 -1.610
C 0.244 4.534 -2.338
C -0.928 5.093 -2.788
C -2.150 4.469 -2.512
C -2.209 3.289 -1.790
C -1.031 2.695 -1.332
H 5.451 -1.391 0.109
H 3.337 -1.919 1.272
H 1.341 -0.515 0.914
H 3.574 1.982 -1.752
H 5.563 0.555 -1.416
H 1.206 4.985 -2.537
H -0.909 6.013 -3.355
H -3.067 4.919 -2.868
H -3.170 2.834 -1.585
C 1.793 -1.637 6.535
C 1.951 -1.407 5.044
N 0.708 -0.889 4.470
C 0.583 -0.140 3.360
S -0.745 -0.408 2.333
N 1.494 0.805 3.100
C 2.393 1.468 4.041
C 2.496 2.944 3.700
H 2.716 -2.036 6.953
H 0.998 -2.355 6.739
H 1.551 -0.708 7.049
H 2.204 -2.344 4.537
H 2.764 -0.712 4.848
H -0.090 -1.497 4.604
H 1.336 1.287 2.226
H 3.386 1.011 4.007
H 1.990 1.337 5.047
H 2.827 3.081 2.669
H 3.225 3.429 4.346
H 1.536 3.439 3.830
C 0.650 -3.549 1.023
C -0.287 -3.587 -0.174
C -1.424 -4.557 0.097
O -0.883 -2.264 -0.300
B -0.422 -1.710 -1.445
O 0.470 -2.453 -2.138
C 0.438 -3.793 -1.563
C -0.353 -4.647 -2.543
C 1.870 -4.286 -1.463
H 0.121 -3.082 1.853
H 1.548 -2.968 0.822
H 0.944 -4.558 1.313
H -1.870 -4.315 1.061
H -1.055 -5.582 0.140
H -2.201 -4.491 -0.660
H -1.360 -4.257 -2.686
H -0.425 -5.678 -2.201
H 0.155 -4.637 -3.507
H 2.512 -3.541 -0.998
H 2.256 -4.490 -2.461
H 1.921 -5.207 -0.883

=====

2.
95
Properties=species:S:1:pos:R:3 method="wB97M-V/def2-TZVPD" homo_lumo_gap_ev="4.69 / 6.44" spin_multiplicity=4 e_tot_ev=-256488.58921 total_charge=-2 s2=3.8015 homo_ev="-0.5 / -2.3"
V 0.473 -0.061 0.463
O 3.118 0.952 2.631
S 2.558 -0.275 2.097
O 3.232 -1.480 2.525
O 1.052 -0.344 2.398
O 2.477 -0.186 0.563
C -0.053 1.606 -4.307
C 0.750 1.005 -3.152
Ge -0.201 -0.433 -2.086
C 0.461 -2.008 -3.111
C 0.281 -1.893 -4.627
C -2.103 -0.205 -2.615
C -3.159 -0.440 -1.833
Ge -2.666 -1.024 0.005
C -2.690 0.445 1.338
C -3.933 1.296 1.608
C -3.819 -2.424 0.800
C -5.333 -2.192 0.787
C -4.534 -0.241 -2.329
C -4.896 -0.642 -3.619
C -6.173 -0.423 -4.115
C -7.134 0.204 -3.333
C -6.798 0.598 -2.045
C -5.522 0.368 -1.551
H 0.537 2.345 -4.861
H -0.945 2.116 -3.941